## Contents
-- begin --
# 1
AgPdN: theoretical X-ray diffraction stick pattern (a wavelength of 1.5418 Å), based on a structure optimized by DFT (PBE).
Intensities are scaled so that the largest is 100.

The 10 most intense peaks (2θ from 10° to 90°), in order of falling intensity:
2.345 Å, 38.38 deg, I = 100, (3 1 -1); 2.392 Å, 37.60 deg, I = 68, (6 0 0); 4.772 Å, 18.59 deg, I = 62, (0 0 1); 2.084 Å, 43.43 deg, I = 60, (3 1 1); 2.482 Å, 36.18 deg, I = 55, (3 1 0); 7.177 Å, 12.33 deg, I = 47, (2 0 0); 2.386 Å, 37.70 deg, I = 41, (0 0 2); 4.605 Å, 19.27 deg, I = 36, (2 0 -1); 2.507 Å, 35.82 deg, I = 29, (1 1 -1); 1.987 Å, 45.66 deg, I = 24, (6 0 -2)

Atomic structure:
```
data_AgPdN
_cell_length_a 14.938
_cell_length_b 2.905
_cell_length_c 4.966
_cell_angle_alpha 90.00
_cell_angle_beta 106.08
_cell_angle_gamma 90.00
_symmetry_space_group_name_H-M 'C 1 m 1'
_symmetry_Int_Tables_number 8
_symmetry_space_group_name_Hall 'C -2y'
loop_
_atom_site_label
_atom_site_fract_x
_atom_site_fract_y
_atom_site_fract_z
_atom_site_occupancy
Ag1 0.000 0.000 0.000 1
Ag2 0.149 0.500 0.864 1
Pd1 0.170 0.000 0.385 1
Pd2 0.328 0.000 0.886 1
N1 0.314 0.000 0.472 1
N2 0.353 0.000 0.299 1
```

***

# 2
Hf3TeSe: theoretical X-ray diffraction stick pattern (a wavelength of 1.5418 Å), based on a structure optimized by DFT (PBE).
Intensities are scaled so that the largest is 100.

The 10 most intense peaks (2θ from 10° to 90°), in order of falling intensity:
2.569 Å, 34.93 deg, I = 100, (2 0 2); 2.058 Å, 44.01 deg, I = 35, (4 4 1); 3.164 Å, 28.20 deg, I = 20, (4 0 0); 2.692 Å, 33.29 deg, I = 18, (2 0 -2); 6.328 Å, 14.00 deg, I = 18, (2 0 0); 2.109 Å, 42.87 deg, I = 18, (6 0 0); 2.198 Å, 41.07 deg, I = 17, (4 0 -2); 1.645 Å, 55.89 deg, I = 13, (0 4 3); 2.515 Å, 35.70 deg, I = 13, (2 4 1); 2.773 Å, 32.28 deg, I = 13, (0 4 1)

Atomic structure:
```
data_Hf3TeSe
_cell_length_a 12.677
_cell_length_b 12.645
_cell_length_c 5.789
_cell_angle_alpha 90.00
_cell_angle_beta 93.29
_cell_angle_gamma 90.00
_symmetry_space_group_name_H-M 'C 1 2/c 1'
_symmetry_Int_Tables_number 15
_symmetry_space_group_name_Hall '-C 2yc'
loop_
_atom_site_label
_atom_site_fract_x
_atom_site_fract_y
_atom_site_fract_z
_atom_site_occupancy
Hf1 0.147 0.066 0.124 1
Hf2 0.150 0.196 0.609 1
Hf3 0.164 0.330 0.057 1
Te1 0.161 0.426 0.555 1
Se1 0.000 0.070 0.750 1
Se2 0.000 0.225 0.250 1
```


Entry 1:
Theoretical PXRD pattern of HgPb4S5 for Cu Kα, from a DFT-relaxed cell (GGA-PBE, Alexandria).
No peak broadening, texture or thermal motion is included.

Crystal structure
Unit cell a=17.132 b=17.132 c=17.132 alpha=14.05 beta=14.05 gamma=14.05
Positions (direct):
Hg  0.000  0.000  0.000
Pb  0.201  0.201  0.201
Pb  0.397  0.397  0.397
Pb  0.603  0.603  0.603
Pb  0.799  0.799  0.799
S  0.098  0.098  0.098
S  0.304  0.304  0.304
S  0.500  0.500  0.500
S  0.696  0.696  0.696
S  0.902  0.902  0.902

The 6 most intense peaks (10° ≤ 2θ ≤ 90°), low angle first:
two_theta	intensity
26.07	73.9
26.27	23.4
30.25	100.0
43.18	38.8
43.44	35.1
51.25	24.9


Entry 2:
Theoretical PXRD pattern of Ca2Zn3Si for Cu Kα, from a DFT-relaxed cell (GGA-PBE, Alexandria).
No peak broadening, texture or thermal motion is included.

Crystal structure
Unit cell a=8.877 b=8.524 c=5.783 alpha=73.92 beta=67.33 gamma=38.76
Positions (direct):
Ca  0.244  0.756  0.756
Ca  0.250  0.250  0.250
Ca  0.750  0.750  0.750
Ca  0.756  0.244  0.244
Zn  0.169  0.169  0.831
Zn  0.171  0.661  0.339
Zn  0.339  0.829  0.171
Zn  0.661  0.171  0.829
Zn  0.829  0.339  0.661
Zn  0.831  0.831  0.169
Si  0.335  0.335  0.665
Si  0.665  0.665  0.335

The 6 most intense peaks (10° ≤ 2θ ≤ 90°), low angle first:
two_theta	intensity
24.08	23.1
33.63	100.0
40.62	73.3
47.78	21.9
53.69	16.3
65.74	32.1


Theoretical PXRD pattern of LiPmH6Ir for Cu Kα (λ = 1.5418 Å), from a PBE-relaxed structure.
Kinematic intensities with the Lorentz-polarization factor, no thermal factor.

Atomic structure:
Cell lengths 4.5789, 4.5789, 4.3842 Å; angles 90.00, 90.00, 120.00 degrees
Space group P-6m2 (No. 187)
-- stop --

## Exercise
Please reproduce only the lines earlier on with the word "for" in them.

## Result
Theoretical PXRD pattern of HgPb4S5 for Cu Kα, from a DFT-relaxed cell (GGA-PBE, Alexandria).
Theoretical PXRD pattern of Ca2Zn3Si for Cu Kα, from a DFT-relaxed cell (GGA-PBE, Alexandria).
Theoretical PXRD pattern of LiPmH6Ir for Cu Kα (λ = 1.5418 Å), from a PBE-relaxed structure.